The University of Virginia’s fraternity row. Photo credit: Daily Mail
by James A. Bacon
Back when I attended the University of Virginia many moons ago, I was a GDI — an acronym for a God-Damned Independent. During the fall rush my first year I attended two fraternity parties on Rugby Road and found nothing entertaining about hanging out with people whose sole purpose seemed to be getting sloshed. Those two experiences were all I needed to needed to convince me that I would never join a fraternity.
As much personal disdain as I had for the Greek system, it never occurred to me to want to abolish it. It never occurred to me to insist upon imposing my values upon others. My philosophy has always been to live and let live. If the frat boys wanted to spend their colleges years in a drunken stupor, that was their choice and nobody’s business but their own (and their parents).
But we live in a different time now. We live in an era in which cultural totalitarians presume to tell everyone else how to live. And the cultural totalitarians are taking aim at fraternities and sororities as evil institutions that reinforce class stratification, elitism, discrimination and cultural appropriation, and, thus, must be abolished. I now find myself in the anomalous position of defending them.
A case in point at UVa is a column published recently in the Cavalier Daily, the student newspaper, by columnist Noah Strike. Young Mr. Strike finds it abominable that dues amounting to thousands of dollars a year make fraternities “inaccessible” to students with less financial means. He also describes them as “hotbeds of racism, violent sexism, homophobia and religious intolerance.” As examples of “abhorrent racist and disrespectful behavior” he cites fraternities that hosted “culturally appropriative events” featuring Native American headdresses and Mexican cultural items.
Writes Strike:
Greek Life organizations are relics from a social environment which no longer exists — one where the partition of people based on predefined genders or socioeconomic statuses was culturally acceptable and encouraged. They represent apparatuses of discrimination and violence which have — for decades — lacked true, meaningful accountability from the University administration. They are factories of classism, discrimination and violence — they have repeatedly shown their very existence is contrary to the core values of our University.
The University, he urges, must rein in the “social anarchy” of Greek Life organizations by requiring them to disaffiliate themselves from national chapters, by removing their formal recognition, or, like Harvard, by actively discouraging student membership.
Now, the views expressed are those of just one person. It is hard to know the degree to which Strike’s sentiments are shared by others. But given the prevalence of the underlying assumption in this piece — that of ubiquitous classism, racism and sexism — it’s a good bet that many students, faculty and administrators share his animus. Indeed, Strike cites numerous universities where fraternities are increasingly questioned or under assault.
I could recite the defense that fraternities mount on their own behalf. They forge bonds of friendships that last a lifetime. They participate in charitable events. They provide opportunities for leadership within the organization. They create communities for students who might otherwise be lost in a large university where they are just another name, just another tuition check.
I could also observe that fraternities address social needs that, in their absence, students would find other ways to indulge. Young people like to party, get drunk, take mood-altering drugs, and have sex. If you banned the fraternity and sorority parties where they do these things, they would find alternative venues for doing them. If you drove the partying, drinking, drugs, and sex out of the fraternities, you can be certain that someone would find a way to relocate these activities to a Hampton Inn, an Airbnb, or someone’s rented house — places where university authorities have no sway at all. The Greek system provides a modicum of self-regulation that would be sorely missed.
But my primary defense of fraternities is that they are NOT controlled by university authorities. They are autonomous and mostly self-governing. Accordingly, they do NOT conform to the leftist pieties regarding race, gender and class. Thank God (I say that despite being an atheist) there institutions still exist that are predicated on the belief that men are men, and women are women, and that gender is not endlessly fluid. The great thing about America is that allowing men to band together with other men, and women to band together with other women, in no way impinges upon the right of gays, lesbians, bisexuals, transgenders, or other gender permutations to band together with whomever they wish.
Quantum chemistry results that have nothing to do with the page:
# C21H57B5N2O18

C21H57B5N2O18 as an isolated structure at a distorted geometry (the ωB97M-V functional and the def2-TZVPD basis, the OMol25 dataset).

Geometry as XYZ:
```
103
C21H57B5N2O18 (the ωB97M-V functional and the def2-TZVPD basis)
C -2.44113 -2.96555 -0.93190
O -1.78396 -1.85396 -0.30043
B -1.98184 -0.63964 -0.94110
O -0.93647 0.30600 -0.81179
B -3.34353 -0.16852 -1.80556
O -3.24379 1.01439 -2.60307
B -4.38685 1.79453 -2.50068
O -4.31888 3.19138 -2.25247
N -5.49534 3.66956 -1.66587
O -5.58401 3.36275 -0.53495
O -5.67603 1.24730 -2.65902
B -5.70027 0.04962 -1.89049
B -7.07318 -0.36341 -0.98592
N -7.07609 -0.07118 0.47170
O -8.15137 -0.97448 -1.66125
O -4.58714 -0.82901 -1.83528
H -2.25041 -3.04950 -2.00319
H -3.50763 -2.90161 -0.69106
H -2.06801 -3.86578 -0.43695
H -1.36400 1.07368 -0.43894
H -6.68772 0.86235 0.59070
H -6.37238 -0.68049 0.88182
H -7.77485 -1.72746 -2.10579
C 2.92353 0.96847 1.78006
O 1.77452 0.29260 2.26338
C 1.30675 -0.71056 1.36758
C 1.76695 -2.09439 1.78879
O 3.18176 -2.22621 1.71442
C 3.81485 -2.07165 2.97282
H 3.38346 1.49532 2.61584
H 3.65772 0.27955 1.35755
H 2.63194 1.70034 1.01920
H 1.62024 -0.49100 0.34437
H 0.21610 -0.68232 1.39494
H 1.34075 -2.82791 1.09870
H 1.40984 -2.33168 2.79536
H 3.70555 -2.98846 3.56220
H 3.40749 -1.22883 3.53468
H 4.87479 -1.89317 2.79513
C 6.58752 6.79171 3.00498
O 5.53343 6.41518 3.87858
C 4.41030 5.88733 3.18706
C 4.39256 4.36941 3.21844
O 5.49478 3.81793 2.51238
C 6.55435 3.42150 3.36825
H 7.49239 6.90513 3.60083
H 6.76812 6.03876 2.23497
H 6.35491 7.75053 2.53039
H 4.38414 6.25397 2.15710
H 3.51620 6.25743 3.69876
H 3.48559 4.02000 2.71647
H 4.36985 4.00196 4.24851
H 6.31214 2.46608 3.84576
H 6.76082 4.16880 4.13663
H 7.44715 3.29223 2.75800
C 5.13239 11.77922 4.01884
O 4.90477 10.40003 3.78200
C 4.42191 9.71390 4.93092
C 2.91626 9.52779 4.87985
O 2.22780 10.77030 4.93226
C 1.81048 11.22200 3.65458
H 5.21386 12.27692 3.05311
H 4.31542 12.23769 4.58002
H 6.07075 11.91550 4.56648
H 4.71740 10.23614 5.84546
H 4.89621 8.72789 4.93749
H 2.60597 8.95362 5.75765
H 2.62646 8.96339 3.98839
H 0.91470 10.67673 3.33893
H 2.59244 11.10093 2.90248
H 1.56599 12.28025 3.73679
C -2.26032 -6.35784 -1.89342
O -1.47814 -6.52029 -0.72163
C -2.11037 -7.34031 0.25205
C -1.57904 -8.76183 0.21529
O -1.89361 -9.40663 -1.01098
C -0.81094 -9.40467 -1.92783
H -1.61259 -5.97978 -2.68357
H -2.70231 -7.29842 -2.22700
H -3.05606 -5.62814 -1.71014
H -3.19604 -7.33018 0.11953
H -1.88661 -6.90719 1.23141
H -2.06061 -9.33577 1.01199
H -0.50037 -8.77656 0.39454
H -0.08235 -10.17252 -1.64830
H -0.31456 -8.43333 -1.97308
H -1.20751 -9.64053 -2.91480
C -4.84579 -7.89198 -7.87575
O -3.89149 -6.93199 -8.30009
C -4.12259 -5.64347 -7.75007
C -3.22266 -5.37256 -6.55754
O -3.51008 -6.24532 -5.47310
C -2.61046 -7.33943 -5.39483
H -4.44573 -8.88135 -8.09349
H -5.04545 -7.82424 -6.80422
H -5.78133 -7.76006 -8.42880
H -5.17451 -5.52363 -7.47578
H -3.89397 -4.91481 -8.53319
H -3.40632 -4.35314 -6.20556
To be sure, fraternities do embody a certain social stratification. Not everybody can afford to join one. But there will always be social stratification. Social stratification is a universal feature of every human society that has advanced beyond the social-gatherer level of social organization. Every effort to elimination social stratification has led to violence, bloodshed and the creation of new forms of social stratification based on new distributions of power. In the real world, if you ban one form of social stratification, another arises to take its place.
In the leftist world view that Strike embraces, it is not sufficient to live and let live. All social institutions must be brought into conformity with correct views and values. This view is totalitarian in the sense that it reaches into every corner of society, and everyone must submit to the coercive power of the university, in this case, or the government in other instances. No one is being hauled into gulags or concentration camps. But when you see how progressives are infusing Critical Race Theory into our public schools, reeducation camps may not be far off. Fraternities and sororities are a source of pluralism in our society, and they must be defended.